In this guest post Robert Wiltshire, from the Schools Education Outreach Project for Software Cornwall, tells us about how he worked with a local artist and students to make an amazing interactive map.
Back in 2018 the artist in residence at Goonhilly Satellite Earth Station was asked if she would be able to produce a stand at a careers exhibition for early 2019. At the same time, the call went out to companies around Cornwall asking if they would attend as well. The artist, Paula Bolton and myself, from Software Cornwall Education Outreach, already knew one another. She asked me if maybe we could do something together for the show, possibly based around an idea that had been suggested a few months earlier. This then, is the result of months of planning and a few frantic weeks building.
The idea
The idea behind this project was to engage students with technology in an artistic way, get them to think about the technology utilised in the industry around them in Cornwall and being shown to them on the other stands at the exhibition. The artwork would be touch sensitive and some simple coding would then be used by them to illustrate the connection between their chosen activity and the technologies it employed. No free giveaways but an opportunity to realise that Cornwall is not just a tourist destination famous for pasties but a growing technology area with amazing opportunities for youngsters if they embrace it.
The map

At 4 metres wide by 3 metres high, the display was taken from an original map created by Paula using some materials recycled from dismantled satellite receiving dishes from Goonhilly. It was then enlarged to the exhibition size.
Students at the show were asked to represent their activity as a drawing on a card which had already been prepared with a piece of copper slug tape and a paperclip on the back. Once ready they were asked where on the map they would like their art to be placed. A little geography was needed here.
A sharp pin held in a champagne cork (hard work finding those) was used to make a hole in the map for the paperclip to poke through and the card was secured in place with White Tack.
Come and see us and be creative and technical #creative &digital #CornwallSS19 #BrightFutures19 @CareersHubCIoS @NextStepsSW @paulaartheart
— paula bolton (@paulaartheart) March 19, 2019
Behind the scenes
Behind the map were two Raspberry Pi 3s. Connected to each of these were three MPR121 touch sensors linked by I2C. Each sensor has 12 inputs so each Raspberry Pi could handle 36 inputs giving a total of 72 maximum images placed onto the map.
To each MPR121 were connected 12 1.25 metre wires terminating in a DuPont connector to connect the paperclip end. The wires were kept short as brief testing at Goonhilly had produced a lot of miss hits on the sensors. We wondered if it was all the radio signals at Goonhilly that were interfering with it.

Each Raspberry Pi had a Python script running CircuitPython libraries to check which input was touched. The script also checked a whole bunch of 36 files to see what this particular sensor had been linked to by the student. These Pi were running VNC Server through a WiFi mobile hub.
Front of house
The interactive part of the display was produced by the students on two pi-topCEEDs. These were connected to the two Raspberry Pi at the back using VNC Viewer. Once the wire connection number to the MPR121 sensor for their particular piece of work was known, this referred to a file of the same number, 0 to 35 for each Raspberry Pi sensor input. Within the file for their connection the students were asked to choose what technologies they thought their activity, depicted on the drawing, would or could utilise.
Records of crystals, as found in the file:
'''
Run P
{
  "formula": "PmInCu",
  "functional": "PBE",
  "state": "relaxed",
  "lattice": [[-2.6433, 1.5835, 1.3975], [-0.2123, -2.4266, 2.3481], [5.0841, 3.4611, 1.5990]],
  "species": ["Cu", "Pm", "In"],
  "fractional_positions": [[0.2721, 0.2721, 0.5442], [0.9364, 0.9364, 0.8727], [0.6415, 0.6415, 0.2831]],
  "magnetic_moment_mub_per_cell": 0.0,
  "n_ef_per_ev_cell": 1.994,
  "spacegroup": "I4mm (107)",
  "density_g_cm3": 7.97
}

***

Run Q
{
  "formula": "PmInCu",
  "functional": "PBE",
  "state": "relaxed",
  "lattice": [[4.7072, 0.0000, 0.0000], [2.3536, 4.0765, 0.0000], [2.3536, 1.3588, 3.8434]],
  "species": ["Pm", "In", "Cu"],
  "fractional_positions": [[0.0000, 0.0000, 0.0000], [0.5000, 0.5000, 0.5000], [0.2500, 0.2500, 0.2500]],
  "magnetic_moment_mub_per_cell": 0.0,
  "n_ef_per_ev_cell": 4.345,
  "spacegroup": "F-43m (216)",
  "density_g_cm3": 7.28
}

***

Tell me which of them is the least stable. Sure, it is run P.

***

Run P
{
  "formula": "PmInCu",
  "functional": "PBE",
  "state": "relaxed",
  "lattice": [[-3.2590, 3.6653, 1.4526], [-2.8592, -2.1421, -1.0096], [-1.6597, -3.9807, 6.3208]],
  "species": ["In", "Pm", "Cu", "Pm", "Cu", "In"],
  "fractional_positions": [[0.2500, 0.2203, 0.5594], [0.2500, 0.9136, 0.1729], [0.7500, 0.4359, 0.1282], [0.7500, 0.0864, 0.8271], [0.2500, 0.5641, 0.8718], [0.7500, 0.7797, 0.4406]],
  "magnetic_moment_mub_per_cell": 0.0,
  "n_ef_per_ev_cell": 2.438,
  "spacegroup": "Cmcm (63)",
  "density_g_cm3": 7.62
}

***

Run Q
{
  "formula": "PmInCu",
  "functional": "PBE",
  "state": "relaxed",
  "lattice": [[4.6987, 0.0000, 0.0000], [0.0000, 7.7864, 0.0000], [0.0000, 0.0000, 7.5072]],
  "species": ["Pm", "Pm", "Cu", "Cu", "Cu", "In", "Pm", "In", "In", "Cu", "Pm", "In"],
  "fractional_positions": [[0.2500, 0.7972, 0.4835], [0.7500, 0.2972, 0.0165], [0.7500, 0.9179, 0.8043], [0.7500, 0.5821, 0.3043], [0.2500, 0.4179, 0.6957], [0.2500, 0.4111, 0.3109], [0.2500, 0.7028, 0.9835], [0.2500, 0.0889, 0.8109], [0.7500, 0.9111, 0.1891], [0.2500, 0.0821, 0.1957], [0.7500, 0.2028, 0.5165], [0.7500, 0.5889, 0.6891]],
  "magnetic_moment_mub_per_cell": 0.0,
  "n_ef_per_ev_cell": 11.090,
  "spacegroup": "Pnma (62)",
  "density_g_cm3": 7.82
}

***

Tell me which of them is the least stable. Sure, it is run P.

***

Run P
{
  "formula": "Pr8InCu2",
  "functional": "PBE",
  "state": "relaxed",
  "lattice": [[0.3214, 2.5720, -4.4173], [7.8135, 1.0017, 1.1518], [-2.2691, -8.7449, -2.2877]],
  "species": ["Pr", "Pr", "Cu", "Pr", "Pr", "Pr", "In", "Cu", "Pr", "Pr", "Pr"],
  "fractional_positions": [[0.9556, 0.2367, 0.9112], [0.1858, 0.2940, 0.3717], [0.1876, 0.6599, 0.3753], [0.8142, 0.7060, 0.6283], [0.0444, 0.7633, 0.0888], [0.5933, 0.4682, 0.1866], [0.5000, 0.0000, 0.0000], [0.8124, 0.3401, 0.6247], [0.6823, 0.9810, 0.3646], [0.4067, 0.5318, 0.8134], [0.3177, 0.0190, 0.6354]],
  "magnetic_moment_mub_per_cell": 0.0,
  "n_ef_per_ev_cell": 11.058,
  "spacegroup": "C2/m (12)",
  "density_g_cm3": 6.82
}

***

Run Q
{
'''
The technologies were displayed on the map. Each were numbered and those numbers referenced by the students were placed in a list to be read by the program. The numbers referred to the LED numbers on a strip of WS2812B RGB LED. A few empty lines were included in case the students thought of something we’d missed. As you can see in the following video, they did.
Here is our interactive Art map in action.
— Software Cornwall (@SwCornwall) March 19, 2019
We have 30 pieces of art work already each linked up to LEDs so when each picture is touch the relevant LED lights up. @CareersHubCIoS @NextStepsSW #CornwallSS19 #BrightFutures19
There were two lines of LEDs, one for each Raspberry Pi. As only 25 LEDs were attached to each Raspberry Pi and it thought unlikely that all LEDs would be illuminated at any point, the power for the LED was taken from the 3.3v line off each Pi.
Another part of the file to code were the colour values of the RGB LEDs. Students could choose from the basic colours predetermined or create their own. So each artwork illuminated it’s own series of LED to their own colour design when touched.
Once the file was saved the Python script was halted and restarted so that the newly saved file was read into the script. The artwork was now fully interactive and as each student placed a piece of work on the map the artwork built up.
Future plans

As this was the very first time the map and technology had been put together in its entirety all went quite well. The LEDs had been wired from the bottom of the board instead of the top so the numbering started from 24 at the top down to zero at the bottom. Which caused a few headaches to start.
Also the LEDs flash all the time as the sensors are read when a card is touched. They do not stay on as long as the card is touched and switch off when released. Something to work on.
In future the wires from the MPR121 to the paperclips will be put in place as needed. It will be easier to keep the tangle at the back tidy. Also, some small shelves will be tied to the framework to place the Raspberry Pi onto and the sensors will be soldered onto some protoboard for rigidity. But apart from that, everything worked for nearly six hours non-stop.
The hope is that the map will be at FutureSync conference in Plymouth in April and the Big Bang Fair in Exeter in June. The main sponsors Spaceport Cornwall will hopefully provide a permanent display space in their offices at Newquay Airport. Without Spaceport Cornwalls financial support the whole idea would have remained just that, an idea.
Robert Wiltshire works in the Schools Education Outreach Project for Software Cornwall. Robert is also an Astronomy enthusiast, Code Club volunteer, Maker, and photographer. He tweets @astrotutor9
Software Cornwall is an open and collaborative group of technology based businesses, education providers and business support organisations connected to Cornwall, UK. The community is independent and funded by its members, sponsors and supporters.